Job:
Write out the lines below from the one with "123.79, 90.00" to the one with "0.0637" with every line break kept.

Input:
DFT (PBE with a Hubbard U) results for a geometry-optimized NiP2O10 structure.

Computed properties:
ΔH_f (0 K)   -1.1254 eV/atom
Total energy after the MP2020 corrections   -0.4563 Ry/atom
VASP energy   -142.6 eV/cell
Magnetic moment   10.00 μB per formula unit

Cell lengths 5.1817, 9.5535, 8.5738 Å; angles 90.00, 123.79, 90.00 degrees
Space group P2_1/c (No. 14)
Unique sites:
Ni  0.0000  0.0000  0.0000 (multiplicity 2)
P  0.4028  0.2081  0.6709 (multiplicity 4)
O  0.0637  0.5358  0.2951 (multiplicity 4)
O  0.1123  0.1557  0.6634 (multiplicity 4)
O  0.2872  0.6647  0.6528 (multiplicity 4)
O  0.3748  0.1326  0.1398 (multiplicity 4)

Reply:
Cell lengths 5.1817, 9.5535, 8.5738 Å; angles 90.00, 123.79, 90.00 degrees
Space group P2_1/c (No. 14)
Unique sites:
Ni  0.0000  0.0000  0.0000 (multiplicity 2)
P  0.4028  0.2081  0.6709 (multiplicity 4)
O  0.0637  0.5358  0.2951 (multiplicity 4)